Women Of Faith Wordshop Bible Study Guide

/*
Computed, not measured: an optimized crystal structure of Ho2MgZrN4 at the PBE-GGA level of DFT.

The value obtained for the density is 7.940 g/cm3. Its formation energy without anion corrections is -1.483 eV/atom. As for the total magnetic moment: 0.0 μB per cell.

The structure belongs to space group P2/m (No. 10); the cell edges are 5.757, 3.350 and 5.763 Å and the angles 90.00°, 109.33° and 90.00°. Symmetry generates all atoms from Ho at (0.000, 0.000, 0.000), Ho at (0.000, 0.500, 0.500), Mg at (0.500, 0.000, 0.500), Zr at (0.500, 0.500, 0.000), N at (0.260, 0.500, 0.243) and N at (0.262, 0.000, 0.760).

=====

A plane-wave DFT calculation with PBE was carried out for a geometry-optimized LaMo2Ir structure.

```
data_LaMo2Ir
_cell_length_a 3.2006
_cell_length_b 3.2006
_cell_length_c 7.5306
_cell_angle_alpha 90.00
_cell_angle_beta 90.00
_cell_angle_gamma 90.00
_space_group_name_H-M_alt 'P 4 m m'
_space_group_IT_number 99
loop_
_space_group_symop_operation_xyz
'x,y,z'
'-y,x,z'
'-x,-y,z'
'y,-x,z'
'-x,y,z'
'y,x,z'
'x,-y,z'
'-y,-x,z'
loop_
_atom_site_label
_atom_site_type_symbol
_atom_site_fract_x
_atom_site_fract_y
_atom_site_fract_z
_atom_site_occupancy
La1 La 0.0000 0.0000 0.0000 1
Mo1 Mo 0.0000 0.0000 0.4945 1
Mo2 Mo 0.5000 0.5000 0.3145 1
Ir1 Ir 0.5000 0.5000 0.7079 1
```

The value obtained for the total moment is 0.000 μB/f.u. For the electronic total energy, the calculation gives -8.719 eV/atom.

=====

# BaFe2Rh

Crystalline BaFe2Rh at its relaxed geometry (GGA-PBE, Alexandria via LeMat-Bulk).

Lattice parameters (Å, degrees): 4.807 4.807 9.195 74.85 74.85 90.00
Fractional coordinates of all 8 atoms:
Rh 0.500 0.500 0.000
Rh 0.250 0.750 0.500
Ba 0.000 0.000 0.000
Ba 0.750 0.250 0.500
Fe 0.375 0.125 0.250
Fe 0.375 0.625 0.250
Fe 0.375 0.625 0.750
Fe 0.875 0.625 0.750

Calculated values
Density = 5.921 Mg/m³

# BaFeRh2

Crystalline BaFeRh2 at its relaxed geometry (GGA-PBE, Alexandria via LeMat-Bulk).

Lattice parameters (Å, degrees): 5.041 5.041 8.802 73.36 73.36 90.00
Fractional coordinates of all 8 atoms:
Rh 0.319 0.125 0.250
Rh 0.431 0.625 0.250
Rh 0.375 0.681 0.750
Rh 0.875 0.569 0.750
Ba 0.000 0.000 0.000
Ba 0.750 0.250 0.500
Fe 0.500 0.500 0.000
Fe 0.250 0.750 0.500

Calculated values
Polymorph energy (0 for the lowest one) = 346 meV per atom
Density = 6.478 Mg/m³

Computed values of total magnetic moment (unit: μB per cell) for the preceding records, in sequence: 11.93; 6.77.
Computed values of VASP energy (unit: eV/atom) for the preceding records, in sequence: -6.035; -5.910.

=====

1.
Density functional theory data (GGA-PBE) for crystalline LiSn3Au at its relaxed geometry.

a = 4.959 Å, b = 4.959 Å, c = 4.959 Å
α = 90.00°, β = 90.00°, γ = 90.00°
Space group Pm-3m (No. 221)
One atom of each set of equivalent atoms:
Li  0.000  0.000  0.000 [1 per cell]
Sn  0.000  0.000  0.500 [3 per cell]
Au  0.500  0.500  0.500 [1 per cell]


2.
Density functional theory data (GGA-PBE) for crystalline Li2Sn2Au3 at its relaxed geometry.
*/

Ps 111:2 The works of the LORD are great, Studied by all who have pleasure in them.

The Book of Philippians February 20, 2008 Week Three

Read all of Philippians Chapter Three before beginning

1.  Paul began the third chapter with the command to “rejoice in the Lord.” This becomes an important concept in light of what Paul discussed in this chapter. Take a few minutes to consider some of the implications of this command. Use the questions below as a guide.

a.  What do you think it means to “rejoice in the Lord”?

b.  How is “rejoicing in the Lord” a safeguard for you?

2.  How would you explain the phrase “put no confidence in the flesh”? See also Titus 3:5-7.

# The entry is interrupted by records of crystals
Record 1
K3Ac3SmO8 | the Alexandria database | PBE-GGA | optimized geometry; E_tot = -98.43 eV per cell; SG = R-3m
1.0
3.802 2.195 6.367
-3.802 2.195 6.367
0.000 -4.390 6.367
K Ac Sm O
3 3 1 8
direct
0.000 0.500 0.500 K
0.500 0.000 0.500 K
0.500 0.500 0.000 K
0.000 0.000 0.500 Ac
0.000 0.500 0.000 Ac
0.500 0.000 0.000 Ac
0.500 0.500 0.500 Sm
0.232 0.232 0.232 O
0.246 0.717 0.717 O
0.283 0.283 0.754 O
0.283 0.754 0.283 O
0.717 0.246 0.717 O
0.717 0.717 0.246 O
0.754 0.283 0.283 O
0.768 0.768 0.768 O

=====

Record 2
K3Ac3SnO8 | the Alexandria database | PBE-GGA | optimized geometry; E_tot = -94.74 eV per cell; SG = R-3m
1.0
3.725 2.151 6.353
-3.725 2.151 6.353
0.000 -4.302 6.353
K Ac Sn O
3 3 1 8
direct
0.000 0.500 0.500 K
0.500 0.000 0.500 K
0.500 0.500 0.000 K
0.000 0.000 0.500 Ac
0.000 0.500 0.000 Ac
0.500 0.000 0.000 Ac
0.500 0.500 0.500 Sn
0.231 0.231 0.231 O
0.270 0.705 0.705 O
0.295 0.295 0.730 O
0.295 0.730 0.295 O
0.705 0.270 0.705 O
0.705 0.705 0.270 O
0.730 0.295 0.295 O
0.769 0.769 0.769 O

=====

Record 3
K4Ac3SnO8 | the Alexandria database | PBE-GGA | optimized geometry; E_tot = -95.89 eV per cell; SG = R-3m
1.0
3.771 2.177 6.367
-3.771 2.177 6.367
0.000 -4.354 6.367
K Ac Sn O
4 3 1 8
direct
0.000 0.000 0.000 K
0.000 0.500 0.500 K
0.500 0.000 0.500 K
0.500 0.500 0.000 K
0.000 0.000 0.500 Ac
0.000 0.500 0.000 Ac
0.500 0.000 0.000 Ac
0.500 0.500 0.500 Sn
0.232 0.232 0.232 O
0.248 0.723 0.723 O
0.277 0.277 0.752 O
0.277 0.752 0.277 O
0.723 0.248 0.723 O
0.723 0.723 0.248 O
0.752 0.277 0.277 O
0.768 0.768 0.768 O

=====

Record 4
K3SrAc2O6 | the Alexandria database | PBE-GGA | optimized geometry; E_tot = -70.62 eV per cell; SG = C2/m
1.0
3.299 -5.722 0.000
3.299 5.722 0.000
-2.191 0.000 6.363
K Sr Ac O
3 1 2 6
direct
0.000 0.000 0.000 K
0.338 0.662 0.000 K
0.662 0.338 0.000 K
0.500 0.500 0.500 Sr
0.167 0.833 0.500 Ac
0.833 0.167 0.500 Ac
0.090 0.433 0.300 O
0.224 0.224 0.700 O
0.433 0.090 0.300 O
0.567 0.910 0.700 O
0.776 0.776 0.300 O
0.910 0.567 0.700 O

=====

Record 5
KSrAcO3 | the Alexandria database | PBE-GGA | optimized geometry; E_tot = -73.74 eV per cell; SG = P2_1/m
1.0
6.555 0.000 0.000
0.000 3.927 0.000
-1.700 0.000 9.592
K Sr Ac O
2 2 2 6
direct
0.123 0.250 0.164 K
0.877 0.750 0.836 K
0.375 0.250 0.862 Sr
0.625 0.750 0.138 Sr
0.259 0.750 0.540 Ac
0.741 0.250 0.460 Ac
0.059 0.250 0.634 O
0.284 0.750 0.977 O
0.489 0.750 0.369 O
0.511 0.250 0.631 O
0.716 0.250 0.023 O
0.941 0.750 0.366 O

=====

Record 6
K2SrAcO4 | the Alexandria database | PBE-GGA | optimized geometry; E_tot = -45.23 eV per cell; SG = P2/m
1.0
6.497 0.000 0.000
0.000 3.827 0.000
-2.088 0.000 6.348
K Sr Ac O
2 1 1 4
direct
0.000 0.000 0.000 K
0.500 0.500 0.000 K
0.000 0.500 0.500 Sr
0.500 0.000 0.500 Ac
0.249 0.000 0.700 O
0.272 0.500 0.297 O
0.728 0.500 0.703 O
0.751 0.000 0.300 O

=====

Record 7
KAcTa2O7 | the Alexandria database | PBE-GGA | optimized geometry; E_tot = -95.99 eV per cell; SG = P4/mmm
1.0
3.920 0.000 0.000
0.000 3.920 0.000

3.  In Philippians 3:4-8, Paul explained that if confidence in the flesh were possible, then he would have ample reason to boast.

a.  From verse 5, who was Paul?

b.  From verse 6, how had he lived out his religious zeal?

4.  When Paul met Christ on the Damascus Road (Acts 9:1-19), he counted “those things” (all his personal and acquired merits) as loss. In Philippians 3:8 he wrote, “More than that, I count all things to be loss…” After Paul was changed by Jesus Christ, what one thing mattered, or was counted as gain to him?

5.  What do we “gain” when we know Christ Jesus according to the following verses?

a.  John 17:3

b.  II Peter 1:2-3

c.  II Peter 2:20a

6.  From Philippians 3:10, what were the things that Paul desired to know?

7.  Read Philippians 3:12 carefully. Paul made three strong statements in this verse. Re-state his thoughts in your own words - using as few words as possible.

8.  The Christian life is a measurable, observable walk before others. Paul told us that what we believe and what we do must agree.

a.  What did Paul say in Philippians 3:17?

b.  (Personal) Does the consistency of your life allow you to say, “join in following my example”…not that you do everything perfectly, but that you are, in every way, “pressing toward the goal for the prize of the upward call of God in Christ Jesus”?

9.  In verses 18-19, Paul described those who were not walking to glorify Christ. Contrast the life Paul modeled for us with the one he described in these verses.

a.  “they are enemies of the cross of Christ…” with Galatians 6:14

_Inserted here: records of crystals_
*one*
Material: CaAc12Pr7
Method: DFT, PBE
State: optimized geometry

Unit cell a=12.2913 b=12.2913 c=12.2913 alpha=116.59 beta=116.59 gamma=116.59
Fractional positions:
Ac1 0.8726 0.0507 0.4185
Ac2 0.0507 0.4185 0.8726
Ac3 0.8425 0.5154 0.5017
Pr1 0.9259 0.9937 0.7007
Pr2 0.5000 0.5000 0.5000
Pr3 0.0741 0.0063 0.2993
Ac4 0.1274 0.9493 0.5815
Pr4 0.7007 0.9259 0.9937
Pr5 0.2993 0.0741 0.0063
Ac5 0.9493 0.5815 0.1274
Ca1 0.0000 0.0000 0.0000
Ac6 0.4983 0.1575 0.4846
Ac7 0.4185 0.8726 0.0507
Ac8 0.5017 0.8425 0.5154
Pr6 0.9937 0.7007 0.9259
Ac9 0.5815 0.1274 0.9493
Ac10 0.5154 0.5017 0.8425
Pr7 0.0063 0.2993 0.0741
Ac11 0.1575 0.4846 0.4983
Ac12 0.4846 0.4983 0.1575

Output
V	870	Å³ per cell

=====

*two*
Material: CaAc12Pr7
Method: DFT, PBE
State: optimized geometry

Unit cell a=10.6711 b=10.6711 c=10.6711 alpha=109.47 beta=109.47 gamma=109.47
Fractional positions:
Ac1 0.4885 0.7065 0.7820
Pr1 0.0000 0.5000 0.0000
Ac2 0.2935 0.7820 0.0755
Ac3 0.7820 0.0755 0.2935
Ac4 0.7820 0.4885 0.7065
Ac5 0.2180 0.9245 0.7065
Ac6 0.7065 0.2180 0.9245
Pr2 0.5000 0.0000 0.0000
Pr3 0.5000 0.5000 0.0000
Ac7 0.2180 0.5115 0.2935
Pr4 0.0000 0.0000 0.5000
Ac8 0.5115 0.2935 0.2180
Pr5 0.5000 0.0000 0.5000
Ac9 0.9245 0.7065 0.2180
Ca1 0.0000 0.0000 0.0000
Ac10 0.2935 0.2180 0.5115
Pr6 0.5000 0.5000 0.5000
Ac11 0.0755 0.2935 0.7820
Ac12 0.7065 0.7820 0.4885
Pr7 0.0000 0.5000 0.5000

Output
V	935	Å³ per cell

=====

Most stable to least stable, the ends of the list are *one* and *two*.

=====

*one*
Material: CaAc2Pr3
Method: DFT, PBE
State: optimized geometry

Unit cell a=6.2072 b=9.7451 c=10.3368 alpha=124.28 beta=90.00 gamma=108.57
Fractional positions:
Ac1 0.8085 0.6171 0.1322
Pr1 0.7043 0.4086 0.3572
Pr2 0.3645 0.7289 0.3819
Ac2 0.1915 0.3829 0.8678
Ca1 0.1178 0.2357 0.1364
Pr3 0.6355 0.2711 0.6181
Ca2 0.8822 0.7643 0.8636
Ac3 0.5438 0.0875 0.8623
Pr4 0.2957 0.5914 0.6428
Pr5 0.0618 0.1236 0.4154
Ac4 0.4562 0.9125 0.1377
Pr6 0.9382 0.8764 0.5846

Output
V	477	Å³ per cell

=====

*two*
Material: CaAc2Pr3
Method: DFT, PBE
State: optimized geometry

Unit cell a=3.7865 b=10.7317 c=12.1332 alpha=86.60 beta=78.88 gamma=85.39
Fractional positions:
Ac1 0.1757 0.5998 0.1172
Ac2 0.6200 0.9141 0.1485
Ac3 0.3800 0.0859 0.8515
Pr1 0.5682 0.4326 0.3624
Pr2 0.7803 0.0844 0.3958
Pr3 0.0215 0.2654 0.6010
Ca1 0.7665 0.7528 0.8580
Pr4 0.2197 0.9156 0.6042
Ac4 0.8243 0.4002 0.8828
Pr5 0.9785 0.7346 0.3990
Pr6 0.4318 0.5674 0.6376
Ca2 0.2335 0.2472 0.1420

Output
V	482	Å³ per cell

=====

Most stable to least stable, the ends of the list are *two* and *one*.

=====

*one*
Material: CaAc4Pr5
Method: DFT, PBE
State: optimized geometry

Unit cell a=6.1893 b=9.3826 c=10.7756 alpha=42.84 beta=73.31 gamma=70.74
Fractional positions:
Pr1 0.6071 0.6969 0.0890
Ca1 0.0000 0.0000 0.0000
Pr2 0.0000 0.5000 0.5000
Ac1 0.8010 0.6603 0.7376
Ac2 0.6046 0.2015 0.5894
Pr3 0.1965 0.8404 0.7666
Ac3 0.3954 0.7985 0.4106
Pr4 0.3929 0.3031 0.9110
Ac4 0.1990 0.3397 0.2624
Pr5 0.8035 0.1596 0.2334

Output
_Here the text continues_

b.  “whose end is destruction…” with Philippians 3:11

c.  “whose god is their appetite…” with Philippians 3:10a

d.  “whose glory is their shame…” or as in The Living Bible “they are proud of what they should be ashamed of…” with Philippians 3:3.

e.  “who set their minds on earthly things…” with Colossians 3:2.



© Lois Lindley 11818 La Mirada Blvd, La Mirada CA 90638